What to do >
Your job: set down the contents below exactly.

Given >
/*
# PBE-GGA Ac6IrPd2, optimized geometry
# Energy in eV for the cell shown: -97.83
# Space-group type: No. 14
data_Ac6IrPd2
_chemical_formula_sum 'Ac12 Ir2 Pd4'
_space_group_name_H-M_alt 'P 1'
_space_group_IT_number 1
_space_group_name_Hall 'P 1'
_cell_length_a 7.244
_cell_length_b 7.949
_cell_length_c 11.214
_cell_angle_alpha 90.00
_cell_angle_beta 94.01
_cell_angle_gamma 90.00
loop_
_atom_site_label
_atom_site_fract_x
_atom_site_fract_y
_atom_site_fract_z
_atom_site_occupancy
Ir1 0.500 0.500 0.000 1
Ac1 0.331 0.819 0.079 1
Ac2 0.161 0.050 0.748 1
Pd1 0.443 0.115 0.275 1
Ac3 0.831 0.681 0.579 1
Ac4 0.661 0.450 0.248 1
Pd2 0.057 0.615 0.225 1
Ac5 0.826 0.683 0.931 1
Ac6 0.174 0.317 0.069 1
Pd3 0.557 0.885 0.725 1
Ac7 0.169 0.319 0.421 1
Ir2 0.000 0.000 0.500 1
Ac8 0.674 0.183 0.569 1
Ac9 0.326 0.817 0.431 1
Ac10 0.339 0.550 0.752 1
Ac11 0.839 0.950 0.252 1
Pd4 0.943 0.385 0.775 1
Ac12 0.669 0.181 0.921 1

=====

1.
Entry from Alexandria via LeMat-Bulk: PaMnFeO5 after structural relaxation (PBE+U).

```
16
Lattice="3.031 -5.287 0.000 3.031 5.287 0.000 -2.324 0.000 7.483" Properties=species:S:1:pos:R:3 pbc="T T T"
Pa 0.000 0.000 0.000
Pa -1.162 0.000 3.741
Mn 1.288 0.657 5.612
Mn 2.450 -0.657 1.871
Fe 2.450 2.369 1.871
Fe 1.288 -2.369 5.612
O -0.310 1.654 4.999
O 1.288 4.451 5.612
O 1.966 0.761 0.624
O 0.852 -1.654 1.258
O 0.804 -0.761 4.365
O 2.933 0.761 3.118
O 2.885 1.654 6.225
O 1.771 -0.761 6.859
O 2.450 -4.451 1.871
O 4.048 -1.654 2.483
```

Crystal system ... monoclinic
Energy ... -0.5989 Ry/atom
Space group ... C2/c (15)
Magnetic moment ... 16.0 Bohr magnetons per cell

2.
Entry from Alexandria via LeMat-Bulk: PaMn4FeO8 after structural relaxation (PBE+U).

```
14
Lattice="3.140 1.813 5.151 -3.140 1.813 5.151 0.000 -3.626 5.151" Properties=species:S:1:pos:R:3 pbc="T T T"
Pa 0.000 0.000 0.000
Mn -1.516 -0.875 7.180
Mn 0.000 0.000 3.944
Mn 1.516 -0.875 7.180
Mn 0.000 1.750 7.180
Fe 0.000 0.000 9.736
O 0.000 0.000 5.862
O 0.000 -1.766 8.521
O -1.529 0.883 8.521
O -1.458 -0.842 11.047
O 0.000 0.000 13.390
O 1.458 -0.842 11.047
O 0.000 1.684 11.047
O 1.529 0.883 8.521
```

Crystal system ... trigonal
Energy ... -0.5664 Ry/atom
Space group ... R3m (160)
Magnetic moment ... 15.0 Bohr magnetons per cell

3.
Entry from Alexandria via LeMat-Bulk: MnFe2PbO6 after structural relaxation (PBE+U).

```
10
Lattice="5.193 0.000 0.000 2.431 4.745 0.000 0.073 2.944 4.782" Properties=species:S:1:pos:R:3 pbc="T T T"
Mn 0.000 0.000 0.000
Fe 2.547 4.576 2.989
Fe 5.123 3.116 0.432
Pb 2.628 1.472 2.241
O 0.665 1.350 1.321
O 1.784 2.852 3.860
O 3.486 3.296 1.509
O 4.362 4.802 3.907
O 6.174 4.520 1.389
O 6.716 6.197 3.927
```

Crystal system ... triclinic
Energy ... -0.4707 Ry/atom
Space group ... P1 (1)
Magnetic moment ... 10.9 Bohr magnetons per cell

4.
Entry from Alexandria via LeMat-Bulk: MnFePb2O5 after structural relaxation (PBE+U).

```
18
Lattice="1.743 -5.854 0.000 1.743 5.854 0.000 0.000 0.000 13.870" Properties=species:S:1:pos:R:3 pbc="T T T"
Mn 1.743 3.213 6.935
Mn 1.743 -3.213 0.000
Fe 1.743 0.403 12.750
Fe 1.743 -0.403 5.815
Pb 1.743 4.930 1.638
Pb 1.743 3.780 10.572
Pb 1.743 -3.780 3.637
Pb 1.743 -4.930 8.573
O 1.743 5.136 6.717
O 1.743 2.653 1.296
O 1.743 2.383 12.428
O 1.743 1.285 7.084
O 1.743 0.606 4.231
O 1.743 -0.606 11.166
O 1.743 -1.285 0.149
O 1.743 -2.383 5.493
O 1.743 -2.653 8.231
O 1.743 -5.136 13.652
```

Crystal system ... orthorhombic
Energy ... -0.4615 Ry/atom
Space group ... Cmc2_1 (36)
Magnetic moment ... 18.0 Bohr magnetons per cell
*/

Outcome >
# PBE-GGA Ac6IrPd2, optimized geometry
# Energy in eV for the cell shown: -97.83
# Space-group type: No. 14
data_Ac6IrPd2
_chemical_formula_sum 'Ac12 Ir2 Pd4'
_space_group_name_H-M_alt 'P 1'
_space_group_IT_number 1
_space_group_name_Hall 'P 1'
_cell_length_a 7.244
_cell_length_b 7.949
_cell_length_c 11.214
_cell_angle_alpha 90.00
_cell_angle_beta 94.01
_cell_angle_gamma 90.00
loop_
_atom_site_label
_atom_site_fract_x
_atom_site_fract_y
_atom_site_fract_z
_atom_site_occupancy
Ir1 0.500 0.500 0.000 1
Ac1 0.331 0.819 0.079 1
Ac2 0.161 0.050 0.748 1
Pd1 0.443 0.115 0.275 1
Ac3 0.831 0.681 0.579 1
Ac4 0.661 0.450 0.248 1
Pd2 0.057 0.615 0.225 1
Ac5 0.826 0.683 0.931 1
Ac6 0.174 0.317 0.069 1
Pd3 0.557 0.885 0.725 1
Ac7 0.169 0.319 0.421 1
Ir2 0.000 0.000 0.500 1
Ac8 0.674 0.183 0.569 1
Ac9 0.326 0.817 0.431 1
Ac10 0.339 0.550 0.752 1
Ac11 0.839 0.950 0.252 1
Pd4 0.943 0.385 0.775 1
Ac12 0.669 0.181 0.921 1

=====

1.
Entry from Alexandria via LeMat-Bulk: PaMnFeO5 after structural relaxation (PBE+U).

```
16
Lattice="3.031 -5.287 0.000 3.031 5.287 0.000 -2.324 0.000 7.483" Properties=species:S:1:pos:R:3 pbc="T T T"
Pa 0.000 0.000 0.000
Pa -1.162 0.000 3.741
Mn 1.288 0.657 5.612
Mn 2.450 -0.657 1.871
Fe 2.450 2.369 1.871
Fe 1.288 -2.369 5.612
O -0.310 1.654 4.999
O 1.288 4.451 5.612
O 1.966 0.761 0.624
O 0.852 -1.654 1.258
O 0.804 -0.761 4.365
O 2.933 0.761 3.118
O 2.885 1.654 6.225
O 1.771 -0.761 6.859
O 2.450 -4.451 1.871
O 4.048 -1.654 2.483
```

Crystal system ... monoclinic
Energy ... -0.5989 Ry/atom
Space group ... C2/c (15)
Magnetic moment ... 16.0 Bohr magnetons per cell

2.
Entry from Alexandria via LeMat-Bulk: PaMn4FeO8 after structural relaxation (PBE+U).

```
14
Lattice="3.140 1.813 5.151 -3.140 1.813 5.151 0.000 -3.626 5.151" Properties=species:S:1:pos:R:3 pbc="T T T"
Pa 0.000 0.000 0.000
Mn -1.516 -0.875 7.180
Mn 0.000 0.000 3.944
Mn 1.516 -0.875 7.180
Mn 0.000 1.750 7.180
Fe 0.000 0.000 9.736
O 0.000 0.000 5.862
O 0.000 -1.766 8.521
O -1.529 0.883 8.521
O -1.458 -0.842 11.047
O 0.000 0.000 13.390
O 1.458 -0.842 11.047
O 0.000 1.684 11.047
O 1.529 0.883 8.521
```

Crystal system ... trigonal
Energy ... -0.5664 Ry/atom
Space group ... R3m (160)
Magnetic moment ... 15.0 Bohr magnetons per cell

3.
Entry from Alexandria via LeMat-Bulk: MnFe2PbO6 after structural relaxation (PBE+U).

```
10
Lattice="5.193 0.000 0.000 2.431 4.745 0.000 0.073 2.944 4.782" Properties=species:S:1:pos:R:3 pbc="T T T"
Mn 0.000 0.000 0.000
Fe 2.547 4.576 2.989
Fe 5.123 3.116 0.432
Pb 2.628 1.472 2.241
O 0.665 1.350 1.321
O 1.784 2.852 3.860
O 3.486 3.296 1.509
O 4.362 4.802 3.907
O 6.174 4.520 1.389
O 6.716 6.197 3.927
```

Crystal system ... triclinic
Energy ... -0.4707 Ry/atom
Space group ... P1 (1)
Magnetic moment ... 10.9 Bohr magnetons per cell

4.
Entry from Alexandria via LeMat-Bulk: MnFePb2O5 after structural relaxation (PBE+U).

```
18
Lattice="1.743 -5.854 0.000 1.743 5.854 0.000 0.000 0.000 13.870" Properties=species:S:1:pos:R:3 pbc="T T T"
Mn 1.743 3.213 6.935
Mn 1.743 -3.213 0.000
Fe 1.743 0.403 12.750
Fe 1.743 -0.403 5.815
Pb 1.743 4.930 1.638
Pb 1.743 3.780 10.572
Pb 1.743 -3.780 3.637
Pb 1.743 -4.930 8.573
O 1.743 5.136 6.717
O 1.743 2.653 1.296
O 1.743 2.383 12.428
O 1.743 1.285 7.084
O 1.743 0.606 4.231
O 1.743 -0.606 11.166
O 1.743 -1.285 0.149
O 1.743 -2.383 5.493
O 1.743 -2.653 8.231
O 1.743 -5.136 13.652
```

Crystal system ... orthorhombic
Energy ... -0.4615 Ry/atom
Space group ... Cmc2_1 (36)
Magnetic moment ... 18.0 Bohr magnetons per cell